Input.
No. 1
Molecular formula: C5H10NO2
Method: DFT, the ωB97M-V functional and the def2-TZVPD basis

Values from the calculation:
⟨S²⟩ = 0.758
HOMO level (spin up / spin down) = -9.789 / -9.487 eV
E = -10928.792 eV
2S+1 = 2
ΔE to the lowest compared entry with this formula, charge and spin = 43.75 kcal per mole
LUMO level (spin up / spin down) = 0.8 / -4.1 eV

Element x y z (Å)
O -1.096 -1.075 0.212
C -1.636 -0.179 -0.494
O -1.097 0.907 -0.879
C -3.132 -0.507 -0.895
H -3.156 -1.243 -1.711
H -3.661 -0.997 -0.101
H -3.665 0.338 -1.327
C 1.849 0.282 -1.080
C 1.649 1.000 0.239
C 1.489 -0.539 1.984
N 2.284 0.160 1.241
H 1.685 0.977 -1.901
H 2.887 -0.065 -1.137
H 1.136 -0.545 -1.129
H 0.558 1.050 0.392
H 2.146 1.968 0.332
H 0.424 -0.325 2.042
H 1.886 -1.274 2.666

Results of the Mulliken charge analysis, in e, for atoms 1 through 8: O -0.423; C 0.863; O -0.496; C -1.008; H 0.295; H 0.323; H 0.315; C -0.990

---

No. 2
Molecular formula: C20H15Cl2IrN7O3S
Method: DFT, the ωB97M-V functional and the def2-TZVPD basis

Values from the calculation:
⟨S²⟩ = 0.770
HOMO level (spin up / spin down) = -13.542 / -14.434 eV
E = -76262.682 eV
2S+1 = 2
ΔE to the lowest compared entry with this formula, charge and spin = 0.00 kcal per mole
Net charge = +2
LUMO level (spin up / spin down) = -6.5 / -8.2 eV

Element x y z (Å)
Ir 0.306 0.626 -0.144
Cl -1.271 -5.461 2.856
C -1.283 -4.093 1.849
C -0.249 -3.191 1.929
C -0.269 -2.063 1.105
N 0.712 -1.140 0.962
C 2.004 -1.329 1.396
O 2.385 -2.035 2.294
C 2.938 -0.634 0.448
C 4.301 -0.829 0.542
C 5.138 -0.180 -0.353
C 4.566 0.652 -1.302
C 3.193 0.806 -1.327
N 2.379 0.164 -0.484
C -1.338 -1.880 0.144
C -2.396 -2.802 0.095
C -2.370 -3.889 0.933
Cl -3.648 -5.009 0.878
N -1.160 -0.782 -0.632
C -2.053 -0.355 -1.604
O -3.156 -0.791 -1.815
C -1.477 0.766 -2.428
C -2.116 1.171 -3.580
C -1.529 2.149 -4.370
C -0.309 2.676 -3.977
C 0.270 2.233 -2.803
N -0.299 1.296 -2.035
H 0.563 -3.355 2.621
H 4.669 -1.486 1.318
H 6.210 -0.311 -0.304
H 5.168 1.187 -2.022
H 2.735 1.455 -2.058
H -3.212 -2.674 -0.595
H -3.055 0.700 -3.834
H -2.012 2.492 -5.274
H 0.194 3.434 -4.559
H 1.205 2.657 -2.463
N -0.083 0.914 3.121
N -1.460 1.109 3.222
C -2.196 1.579 2.220
N -3.454 1.910 2.482
S -1.693 1.847 0.591
H 0.152 -0.011 3.464
H 0.396 1.609 3.686
H -1.903 0.996 4.127
H -3.838 1.889 3.415
H -4.056 2.224 1.738
O 1.399 3.407 0.297
C 1.003 2.352 0.232

Results of the Mulliken charge analysis, in e, for atoms 1 through 8: Ir 1.117; Cl -0.109; C 0.146; C -0.952; C 0.243; N 0.158; C -0.051; O -0.624


Record 1
The following is a DFT calculation (the ωB97M-V functional and the def2-TZVPD basis) of C43H37N6O5STi as an isolated structure at a distorted geometry.

Cartesian coordinates (Å):
Ti  0.259  0.338  0.596
C  3.136  -0.502  4.025
C  2.091  0.130  3.333
N  2.053  0.231  2.025
C  3.122  -0.242  1.316
C  4.243  -0.819  1.920
C  4.199  -0.986  3.318
C  5.369  -1.164  1.123
C  5.358  -0.870  -0.205
C  4.223  -0.280  -0.824
C  3.089  -0.016  -0.104
N  1.888  0.515  -0.571
C  1.871  1.641  -1.400
C  2.440  1.800  -2.634
C  2.315  3.021  -3.345
C  1.677  4.095  -2.803
C  1.154  4.002  -1.487
C  0.623  5.100  -0.769
C  0.258  4.944  0.534
C  0.341  3.662  1.122
N  0.757  2.609  0.470
C  1.214  2.779  -0.812
H  3.072  -0.606  5.099
H  1.271  0.581  3.873
H  5.021  -1.482  3.821
H  6.228  -1.626  1.591
H  6.223  -1.100  -0.814
H  4.256  -0.071  -1.884
H  2.968  0.975  -3.093
H  2.745  3.095  -4.336
H  1.584  5.027  -3.347
H  0.538  6.064  -1.259
H  -0.112  5.772  1.123
H  0.041  3.513  2.149
C  0.107  -0.324  -4.149
O  -0.392  0.156  -2.920
C  -0.994  1.369  -2.908
C  -1.145  2.197  -4.015
C  -1.796  3.420  -3.882
C  -2.308  3.825  -2.659
C  -2.166  2.993  -1.556
C  -1.508  1.789  -1.686
N  -1.385  0.913  -0.539
N  -2.532  0.510  -0.211
C  -2.687  -0.628  0.565
C  -1.695  -1.611  0.691
O  -0.469  -1.376  0.332
C  -2.056  -2.895  1.215
C  -3.293  -3.106  1.708
C  -4.291  -2.074  1.722
C  -5.533  -2.263  2.360
C  -6.444  -1.243  2.432
C  -6.146  -0.001  1.842

Wanted.
Your job: type out everything above without altering anything.

Done.
No. 1
Molecular formula: C5H10NO2
Method: DFT, the ωB97M-V functional and the def2-TZVPD basis

Values from the calculation:
⟨S²⟩ = 0.758
HOMO level (spin up / spin down) = -9.789 / -9.487 eV
E = -10928.792 eV
2S+1 = 2
ΔE to the lowest compared entry with this formula, charge and spin = 43.75 kcal per mole
LUMO level (spin up / spin down) = 0.8 / -4.1 eV

Element x y z (Å)
O -1.096 -1.075 0.212
C -1.636 -0.179 -0.494
O -1.097 0.907 -0.879
C -3.132 -0.507 -0.895
H -3.156 -1.243 -1.711
H -3.661 -0.997 -0.101
H -3.665 0.338 -1.327
C 1.849 0.282 -1.080
C 1.649 1.000 0.239
C 1.489 -0.539 1.984
N 2.284 0.160 1.241
H 1.685 0.977 -1.901
H 2.887 -0.065 -1.137
H 1.136 -0.545 -1.129
H 0.558 1.050 0.392
H 2.146 1.968 0.332
H 0.424 -0.325 2.042
H 1.886 -1.274 2.666

Results of the Mulliken charge analysis, in e, for atoms 1 through 8: O -0.423; C 0.863; O -0.496; C -1.008; H 0.295; H 0.323; H 0.315; C -0.990

---

No. 2
Molecular formula: C20H15Cl2IrN7O3S
Method: DFT, the ωB97M-V functional and the def2-TZVPD basis

Values from the calculation:
⟨S²⟩ = 0.770
HOMO level (spin up / spin down) = -13.542 / -14.434 eV
E = -76262.682 eV
2S+1 = 2
ΔE to the lowest compared entry with this formula, charge and spin = 0.00 kcal per mole
Net charge = +2
LUMO level (spin up / spin down) = -6.5 / -8.2 eV

Element x y z (Å)
Ir 0.306 0.626 -0.144
Cl -1.271 -5.461 2.856
C -1.283 -4.093 1.849
C -0.249 -3.191 1.929
C -0.269 -2.063 1.105
N 0.712 -1.140 0.962
C 2.004 -1.329 1.396
O 2.385 -2.035 2.294
C 2.938 -0.634 0.448
C 4.301 -0.829 0.542
C 5.138 -0.180 -0.353
C 4.566 0.652 -1.302
C 3.193 0.806 -1.327
N 2.379 0.164 -0.484
C -1.338 -1.880 0.144
C -2.396 -2.802 0.095
C -2.370 -3.889 0.933
Cl -3.648 -5.009 0.878
N -1.160 -0.782 -0.632
C -2.053 -0.355 -1.604
O -3.156 -0.791 -1.815
C -1.477 0.766 -2.428
C -2.116 1.171 -3.580
C -1.529 2.149 -4.370
C -0.309 2.676 -3.977
C 0.270 2.233 -2.803
N -0.299 1.296 -2.035
H 0.563 -3.355 2.621
H 4.669 -1.486 1.318
H 6.210 -0.311 -0.304
H 5.168 1.187 -2.022
H 2.735 1.455 -2.058
H -3.212 -2.674 -0.595
H -3.055 0.700 -3.834
H -2.012 2.492 -5.274
H 0.194 3.434 -4.559
H 1.205 2.657 -2.463
N -0.083 0.914 3.121
N -1.460 1.109 3.222
C -2.196 1.579 2.220
N -3.454 1.910 2.482
S -1.693 1.847 0.591
H 0.152 -0.011 3.464
H 0.396 1.609 3.686
H -1.903 0.996 4.127
H -3.838 1.889 3.415
H -4.056 2.224 1.738
O 1.399 3.407 0.297
C 1.003 2.352 0.232

Results of the Mulliken charge analysis, in e, for atoms 1 through 8: Ir 1.117; Cl -0.109; C 0.146; C -0.952; C 0.243; N 0.158; C -0.051; O -0.624


Record 1
The following is a DFT calculation (the ωB97M-V functional and the def2-TZVPD basis) of C43H37N6O5STi as an isolated structure at a distorted geometry.

Cartesian coordinates (Å):
Ti  0.259  0.338  0.596
C  3.136  -0.502  4.025
C  2.091  0.130  3.333
N  2.053  0.231  2.025
C  3.122  -0.242  1.316
C  4.243  -0.819  1.920
C  4.199  -0.986  3.318
C  5.369  -1.164  1.123
C  5.358  -0.870  -0.205
C  4.223  -0.280  -0.824
C  3.089  -0.016  -0.104
N  1.888  0.515  -0.571
C  1.871  1.641  -1.400
C  2.440  1.800  -2.634
C  2.315  3.021  -3.345
C  1.677  4.095  -2.803
C  1.154  4.002  -1.487
C  0.623  5.100  -0.769
C  0.258  4.944  0.534
C  0.341  3.662  1.122
N  0.757  2.609  0.470
C  1.214  2.779  -0.812
H  3.072  -0.606  5.099
H  1.271  0.581  3.873
H  5.021  -1.482  3.821
H  6.228  -1.626  1.591
H  6.223  -1.100  -0.814
H  4.256  -0.071  -1.884
H  2.968  0.975  -3.093
H  2.745  3.095  -4.336
H  1.584  5.027  -3.347
H  0.538  6.064  -1.259
H  -0.112  5.772  1.123
H  0.041  3.513  2.149
C  0.107  -0.324  -4.149
O  -0.392  0.156  -2.920
C  -0.994  1.369  -2.908
C  -1.145  2.197  -4.015
C  -1.796  3.420  -3.882
C  -2.308  3.825  -2.659
C  -2.166  2.993  -1.556
C  -1.508  1.789  -1.686
N  -1.385  0.913  -0.539
N  -2.532  0.510  -0.211
C  -2.687  -0.628  0.565
C  -1.695  -1.611  0.691
O  -0.469  -1.376  0.332
C  -2.056  -2.895  1.215
C  -3.293  -3.106  1.708
C  -4.291  -2.074  1.722
C  -5.533  -2.263  2.360
C  -6.444  -1.243  2.432
C  -6.146  -0.001  1.842